Teaching online effectively involves a combination of technology, pedagogy, and interpersonal skills. Here’s a comprehensive guide to help you get started:

1. Know Your Tools: Familiarize yourself with the digital tools and platforms you’ll use for teaching. Whether it’s Zoom, Google Classroom, or a Learning Management System (LMS), understanding how to navigate these tools is crucial. They offer features like screen sharing, virtual whiteboards, and breakout rooms that can enhance your teaching.

2. Plan Your Lessons: Design your lessons to fit the online format. Break down content into manageable chunks and incorporate interactive elements to keep students engaged. Use multimedia resources like videos, slideshows, and online quizzes to diversify the learning experience.

3. Set clear expectations: From the outset, communicate your expectations regarding participation, assignments, and etiquette during online sessions. Establish guidelines for interaction to create a respectful and productive learning environment.

4. Build Relationships: Foster a sense of community by encouraging interaction among students. Create opportunities for group work and discussions. Personalize your interactions by addressing students by name and offering individual feedback.

5. Be Present: Maintain a strong online presence by being responsive to emails and discussion posts. Hold regular office hours for students to ask questions and seek clarification on course materials.

6. Assess and Adapt: Regularly assess student understanding through quizzes, assignments, and feedback. Be prepared to adapt your teaching methods based on what works best for your students.

### Unrelated to this article: quantum chemistry results
'''
# 1
Here is a structure of composition C64H66BrN8O2S4Si2Ti from the OMol25 dataset. Energies are from ωB97M-V with the def2-TZVPD basis set.

Each line ends with the Mulliken charge.
Atoms and positions in Å:
Ti (-0.83, -0.62, -0.84)  -0.6036
O (-4.80, -0.02, -2.47)  -0.6931
C (-4.54, 0.12, -3.79)  0.3927
C (-5.61, 0.13, -4.68)  -0.5929
C (-5.38, 0.26, -6.04)  -0.5470
C (-4.09, 0.37, -6.53)  -0.9180
C (-3.02, 0.35, -5.64)  -0.6011
C (-3.23, 0.23, -4.26)  -0.2303
C (-2.02, 0.35, -3.35)  -0.1829
O (-2.14, -0.34, -2.14)  1.3516
N (-1.82, 1.80, -3.06)  0.5235
N (-2.08, 2.26, -1.83)  -0.0277
C (-2.37, 3.50, -1.68)  -0.7399
C (-2.58, 4.08, -0.36)  0.0252
Br (-2.98, 2.86, 1.05)  -0.1317
C (-2.54, 5.38, -0.05)  -1.0123
C (-2.22, 6.50, -0.95)  0.6766
C (-1.33, 6.41, -2.02)  0.0053
C (-1.08, 7.50, -2.83)  -0.9654
C (-1.70, 8.72, -2.58)  -0.4629
C (-2.57, 8.83, -1.50)  -0.5804
C (-2.82, 7.73, -0.69)  -0.6450
H (-3.95, -0.10, -2.01)  -0.0060
H (-6.61, 0.04, -4.28)  0.4506
H (-6.22, 0.28, -6.72)  0.4017
H (-3.91, 0.46, -7.59)  0.4444
H (-2.00, 0.41, -6.01)  0.4493
H (-1.14, -0.01, -3.90)  -0.1424
H (-2.08, 2.40, -3.83)  0.4741
H (-2.48, 4.17, -2.53)  0.7632
H (-2.82, 5.66, 0.96)  0.4125
H (-0.81, 5.48, -2.21)  0.6524
H (-0.38, 7.41, -3.66)  0.3991
H (-1.51, 9.57, -3.22)  0.3933
H (-3.06, 9.77, -1.29)  0.3963
H (-3.50, 7.83, 0.15)  0.3932
C (-2.38, -3.14, -3.12)  -1.1843
Si (-0.75, -2.84, -2.20)  1.8610
C (-0.40, -4.49, -1.33)  -0.9630
C (0.57, -2.69, -3.56)  0.3266
C (0.70, -3.69, -4.53)  -0.7565
C (1.66, -3.61, -5.53)  -0.9395
C (2.51, -2.50, -5.58)  -0.9715
C (2.38, -1.50, -4.63)  -0.9059
C (1.42, -1.58, -3.62)  0.5284
Si (1.24, -0.20, -2.32)  2.5430
C (2.89, -0.14, -1.37)  -0.3712
C (1.30, 1.43, -3.28)  -1.4129
H (-2.57, -4.22, -3.22)  0.5770
H (-2.34, -2.71, -4.12)  0.3805
H (-3.23, -2.69, -2.61)  -0.1600
H (-0.65, -5.31, -2.01)  0.7660
H (-1.01, -4.60, -0.43)  -0.0562
H (0.65, -4.61, -1.05)  0.1854
H (0.05, -4.56, -4.51)  0.3583
H (1.74, -4.39, -6.28)  0.4278
H (3.25, -2.43, -6.37)  0.4213
H (3.05, -0.65, -4.69)  0.3495
H (3.67, -0.64, -1.95)  0.8740
H (2.82, -0.62, -0.40)  -0.9179
H (3.19, 0.90, -1.22)  0.5852
H (2.31, 1.57, -3.67)  0.5389
H (1.08, 2.28, -2.62)  0.1317
H (0.60, 1.47, -4.12)  0.2973
N (0.01, 0.99, 0.21)  -0.5049
S (0.85, 1.41, 1.31)  1.6059
N (2.13, 0.49, 1.82)  -0.0348
S (2.27, -0.55, 2.94)  1.3970
N (1.41, -1.83, 2.99)  -0.5912
S (0.90, -2.55, 1.57)  1.2365
N (0.20, -1.73, 0.61)  0.2052
C (2.38, -3.32, 0.95)  0.2061
C (3.27, -3.97, 1.81)  -0.1429
C (4.42, -4.52, 1.27)  -0.9166
C (4.67, -4.42, -0.10)  -1.0378
C (3.77, -3.78, -0.94)  -0.5957
C (2.61, -3.23, -0.41)  -0.1956
C (0.00, -3.86, 2.37)  0.7505
C (0.24, -5.19, 2.06)  -0.6946
C (-0.55, -6.16, 2.66)  -0.9255
C (-1.56, -5.80, 3.54)  -0.7727
C (-1.80, -4.46, 3.82)  -0.9718
C (-1.01, -3.48, 3.23)  -0.2284
C (4.00, -0.95, 2.85)  0.8025
C (4.76, -0.57, 1.76)  0.1202
C (6.09, -0.98, 1.71)  -0.8987
C (6.62, -1.74, 2.74)  -0.6407
C (5.84, -2.11, 3.83)  -0.7833
'''
### The article goes on

7. Encourage Self-Reflection: Promote metacognition by asking students to reflect on their learning process. This can help them become more independent learners and identify areas where they need further support.

8. Stay Organized: Keep your course materials, deadlines, and communication organized. Use the LMS to post announcements, assignments, and grades in a central location.

9. Seek feedback: Ask for student feedback on your teaching and the course content. This will help you improve and make the necessary adjustments to your teaching style and materials.

- - -
# 1
ORCA calculation (wB97M-V/def2-TZVPD) on a cluster of 10 separate species, C46H91F10N14O8PS4 in total in a non-equilibrium geometry.

The value obtained for the orbital gap is 8.12 eV. As for the total charge: +4. The multiplicity is 1.

Last column: Löwdin charge in e.
CARTESIAN COORDINATES (ANGSTROEM)
S 3.948097 3.278916 -3.746835  0.417
S -0.980367 -0.813940 -0.018512  0.414
S -0.732206 1.348410 -0.743957  0.568
S 4.041786 2.494888 -5.951991  0.583
P -4.332754 1.105403 1.961008  0.213
F -4.878029 2.558356 1.362202  -0.182
F -5.677494 0.328421 1.461666  -0.168
F 0.353389 2.175953 -1.645563  -0.215
F -3.768795 -0.293042 2.610641  -0.192
F -3.609498 0.733990 0.528810  -0.184
F -0.102227 -2.206101 0.038061  -0.264
F -5.044600 1.282045 3.358731  -0.139
F -3.030050 1.904267 2.515994  -0.170
F 3.587698 3.335573 -7.243404  -0.210
F 2.753567 3.617162 -2.656438  -0.262
O -1.913557 1.503810 -1.552781  -0.261
O -2.159085 -1.396833 -0.671394  -0.273
O 3.437838 1.216084 -6.224621  -0.297
O -0.597930 2.061240 0.525528  -0.272
O 4.843965 4.355517 -3.379478  -0.259
O 4.253063 1.940574 -3.332207  -0.319
O -1.053271 -0.578329 1.404385  -0.279
O 5.501183 2.663476 -6.002239  -0.247
N 2.608987 -2.146752 -3.225433  -0.226
N 3.068083 3.507788 -4.964215  -0.262
N -4.479398 -3.602969 0.664565  -0.055
N 0.069583 -0.126413 -0.855650  -0.247
N -0.275570 4.044700 -6.845708  -0.034
N 3.501927 0.906758 3.488613  -0.043
N -6.379008 6.372466 -1.545133  -0.059
N 4.547566 -5.119513 3.473988  -0.234
N -5.243592 4.434825 -1.558764  -0.059
N -3.144762 -5.441193 0.843419  -0.072
N -0.997615 1.541757 4.836473  -0.041
N -2.455873 1.516534 6.596040  -0.065
N -0.989468 5.409003 -8.530098  -0.115
N 2.938552 1.564092 1.421274  -0.066
C -3.174124 0.972059 7.735067  -0.154
C -0.282679 2.997303 -5.832577  -0.150
C 3.460098 -4.348942 2.671541  -0.076
C -6.421158 4.269532 -0.906457  -0.027
C -2.964046 -7.577511 2.071631  -0.048
C 0.183266 5.889722 -8.052789  0.029
C 0.081881 1.142248 3.982022  -0.022
C 3.596358 -2.663929 -4.281814  0.056
C -7.113628 5.435590 -0.840693  0.010
C 4.581060 -1.170413 -1.742912  -0.167
C 0.919877 -0.928420 -4.528518  -0.135
C 3.127550 -4.823667 1.188263  -0.200
C 1.303775 -2.879460 -3.194480  -0.111
C 5.957303 -4.832306 3.067712  0.006
C 3.486525 1.557461 5.711307  -0.078
C -2.698540 -6.829854 0.707073  -0.144
C -1.792791 6.117828 -9.474322  0.028
C 2.777446 2.326949 0.295763  -0.017
C -3.255852 -3.181345 1.273770  0.023
C 1.928970 -4.099643 0.647048  -0.110
C 4.259781 0.848803 4.709410  -0.200
C -6.876981 7.685562 -1.729479  -0.177
C 2.144604 -0.713966 -3.603925  -0.068
C 5.253222 -1.235315 -0.336164  -0.083
C 0.621951 5.007435 -7.017180  0.004
C 2.344644 0.313981 1.670988  -0.016
C 3.676219 -5.959843 5.609973  -0.135
C -1.280222 4.344639 -7.774798  0.004
C -1.424061 0.939306 6.000212  -0.024
C 3.173992 -6.796679 4.405870  -0.135
C 0.635695 -2.422507 -4.503834  -0.135
C -1.351654 3.266903 -4.757676  -0.048
C 3.549727 1.889221 2.597071  0.019
- - -

10. Continue Learning: Stay updated with the latest online teaching strategies and technological tools. Professional development courses and educator communities can provide valuable insights and support.

Remember, teaching online is an evolving process. It requires patience, flexibility, and a willingness to learn and grow with your students. By following these steps, you can create a dynamic and effective online learning experience.

Where to teach?

**Attached: molecular data**
~~~
# 1
~~~

There are many ways to teach online. We are going to list here some of the popular ways to teach online.

  1. YouTube: YouTube is the best way to reach a wider audience and find your students. YouTube pays on views per thousand. Generally, it is 1 USD less or more per thousand views. YouTube offers two ways to teach. One way is to record the teaching video and upload it, and another way is to teach live. In live teaching, you will have to broadcast your live session to YouTube, and people will join. It’s better to teach live once you have some subscribers, because in live teaching, you can earn extra money through super chat.
  2. Through Video Conferencing: If you already have a student base, you can create a group on WhatsApp or any other platform, and then you can start video conferencing with all of them to start teaching.
  3. Through blogs or websites, this way of teaching is like writing a book that people will read once it is completed. For this, you will need to have your own website, or you can join any other website like Unacademy and start blogging. Blogging can be in the form of text or video. Basically, you have to write articles that people will read and find helpful. You will need to have an ad-sense account to create an earning source.
  4. Sell a subscription on the website. Here, a student will pay you recurring fees for teaching him online. It’s like you will have a continuous source of income as long as people choose to subscribe to your course.